If you are planing to start learning web design/development and you came with some background of another coding language, than you'll probably have a learning curve to know how web design programming is different from programming in other fields...I know I did.
take it from me, web design programming is quite different from other fields. It's not hard, its just different. so if you don't to end up having the same frustration I did at the start of doing web design, and save yourself a lot of work time than follow these steps
PermalinkSketch Before Coding
In most other programming fields, you can just start coding straight ahead as long as you know the needed step. And dividing your project into small steps will be more than enough to help you finish it. But in web design it's a different story, coding before sketching is as good as saying "I'm gonna add extra hours into this projects for now reason at all". Here is the thing, web designing is a visual processes, and when you see your webpage constantly changing in font of you while coding it, you'll "slowly but surely" lose the image you had in your mind when you typed the first code, and it'll keep changing the longer you code (from the image position to the wireframe of your page), so it's necessary to have a sketch. A pen and a paper is plenty enough to sketch your webpage.
Calculated crystals, kept here for reference:
+++
VASP calculation (PBE with a Hubbard U) on a relaxed structure of Rb3CoF6.

Cell: 6.491 6.491 6.491 Å, 60.00 60.00 60.00°
Fractional positions:
Rb 0.000 0.000 0.000
Rb 0.250 0.250 0.250
Rb 0.750 0.750 0.750
Co 0.500 0.500 0.500
F 0.289 0.289 0.711
F 0.289 0.711 0.289
F 0.289 0.711 0.711
F 0.711 0.289 0.289
F 0.711 0.289 0.711
F 0.711 0.711 0.289

Values from the calculation:
The calculation puts the volume at 19.3 A^3/atom. The formation enthalpy at 0 K is -2.674 eV/atom.

=====

VASP calculation (PBE with a Hubbard U) on a relaxed structure of Rb2TlCoF6.

Cell: 6.447 6.447 6.447 Å, 60.00 60.00 60.00°
Fractional positions:
Rb 0.250 0.250 0.250
Rb 0.750 0.750 0.750
Tl 0.000 0.000 0.000
Co 0.500 0.500 0.500
F 0.285 0.285 0.715
F 0.285 0.715 0.285
F 0.285 0.715 0.715
F 0.715 0.285 0.285
F 0.715 0.285 0.715
F 0.715 0.715 0.285

Values from the calculation:
The calculation puts the volume at 18.9 A^3/atom. The formation enthalpy at 0 K is -2.477 eV/atom.

=====

VASP calculation (PBE with a Hubbard U) on a relaxed structure of CoSnF6.

Cell: 5.592 5.592 5.592 Å, 56.96 56.96 56.96°
Fractional positions:
Co 0.000 0.000 0.000
Sn 0.500 0.500 0.500
F 0.136 0.371 0.746
F 0.254 0.864 0.629
F 0.371 0.746 0.136
F 0.629 0.254 0.864
F 0.746 0.136 0.371
F 0.864 0.629 0.254

Values from the calculation:
The calculation puts the volume at 14.4 A^3/atom. The formation enthalpy at 0 K is -2.651 eV/atom.

=====

VASP calculation (PBE with a Hubbard U) on a relaxed structure of Tl2CoF4.

Cell: 7.623 7.623 7.623 Å, 148.12 148.12 45.72°
Fractional positions:
Tl 0.147 0.147 0.000
Tl 0.853 0.853 0.000
Co 0.500 0.500 0.000
F 0.000 0.500 0.500
F 0.357 0.357 0.000
F 0.500 0.000 0.500
F 0.643 0.643 0.000

Values from the calculation:
The calculation puts the volume at 17.6 A^3/atom. The formation enthalpy at 0 K is -2.107 eV/atom.

=====

VASP calculation (PBE with a Hubbard U) on a relaxed structure of YCo3F15.

Cell: 5.758 11.501 9.391 Å, 90.00 107.22 90.00°
Fractional positions:
Y 0.215 0.250 0.243
Y 0.785 0.750 0.757
Co 0.000 0.000 0.500
Co 0.000 0.500 0.500
Co 0.320 0.511 0.847
Co 0.320 0.989 0.847
Co 0.680 0.011 0.153
Co 0.680 0.489 0.153
F 0.011 0.114 0.328
F 0.011 0.386 0.328
F 0.038 0.750 0.953
F 0.077 0.063 0.879
F 0.077 0.437 0.879
F 0.201 0.591 0.452
F 0.201 0.909 0.452
F 0.255 0.068 0.642
F 0.255 0.432 0.642
F 0.409 0.750 0.300
F 0.420 0.588 0.047
F 0.420 0.912 0.047
F 0.464 0.250 0.545
F 0.490 0.120 0.223
F 0.490 0.380 0.223
F 0.510 0.620 0.777
F 0.510 0.880 0.777
F 0.536 0.750 0.455
F 0.580 0.088 0.953
F 0.580 0.412 0.953
F 0.591 0.250 0.700
F 0.745 0.568 0.358
F 0.745 0.932 0.358
F 0.799 0.091 0.548
F 0.799 0.409 0.548
F 0.923 0.563 0.121
F 0.923 0.937 0.121
F 0.962 0.250 0.047
F 0.989 0.614 0.672
F 0.989 0.886 0.672

Values from the calculation:
The calculation puts the volume at 15.6 A^3/atom. The formation enthalpy at 0 K is -2.256 eV/atom.

=====

VASP calculation (PBE with a Hubbard U) on a relaxed structure of Zr3CoF6.
+++
PermalinkOne Stage At A Time
=====
(1)
The following is a DFT calculation (r²SCAN) of a relaxed structure of HoTaO4.

raw total energy = -253.78 eV per cell
ΔE_f = -3.588 eV per atom

Cell: 5.0966 5.4360 5.2883 Å, 90.00 96.40 90.00°
With the nearest neighbours (Å) after each atom.
Space group P2/c (No. 13)
Unique sites:
Ho: 0.0000 0.2336 0.2500  8 O 2.27-2.51
Ta: 0.5000 0.3037 0.7500  4 O 1.87-1.98
O: 0.2498 0.0815 0.5970  1 Ta 1.87
O: 0.2668 0.4371 0.9927  2 Ta 1.98-2.21

=====

(2)
The following is a DFT calculation (r²SCAN) of a relaxed structure of Tb5Si4.

raw total energy = -794.81 eV per cell
ΔE_f = -0.830 eV per atom

Cell: 7.4890 14.6429 7.7084 Å, 90.00 90.00 90.00°
With the nearest neighbours (Å) after each atom.
Space group Pnma (No. 62)
Unique sites:
Tb: 0.0333 0.0995 0.1836  6 Si 3.06-3.15
Tb: 0.1436 0.7500 0.5112  5 Si 2.93-3.08
Tb: 0.1865 0.1223 0.6803  6 Si 2.86-3.04
Si: 0.0164 0.7500 0.1040  1 Si 2.54
Si: 0.1408 0.5405 0.4730  1 Si 2.46
Si: 0.2406 0.2500 0.3737  1 Si 2.54

=====

(3)
The following is a DFT calculation (r²SCAN) of a relaxed structure of Li2MgPb.

raw total energy = -266.47 eV per cell
ΔE_f = -0.347 eV per atom

Cell: 6.8434 6.8434 6.8434 Å, 90.00 90.00 90.00°
With the nearest neighbours (Å) after each atom.
Space group F-43m (No. 216)
Unique sites:
Li: 0.0000 0.0000 0.0000  4 Li 2.96, 4 Mg 2.96
Li: 0.2500 0.2500 0.2500  4 Pb 2.96, 4 Li 2.96
Mg: 0.2500 0.2500 0.7500  4 Pb 2.96, 4 Li 2.96
Pb: 0.0000 0.0000 0.5000  4 Li 2.96, 4 Mg 2.96

=====

(4)
The following is a DFT calculation (r²SCAN) of a relaxed structure of SiO2.

raw total energy = -1072.07 eV per cell
ΔE_f = -3.020 eV per atom

Cell: 7.5083 14.2262 18.9830 Å, 90.00 90.00 90.00°
With the nearest neighbours (Å) after each atom.
Space group Immm (No. 71)
Unique sites:
Si: 0.0000 0.0000 0.1539  4 O 1.60-1.61
Si: 0.0000 0.2009 0.0836  4 O 1.59-1.61
Si: 0.2064 0.2019 0.3249  4 O 1.60-1.61
Si: 0.2064 0.5000 0.2266  4 O 1.61
O: 0.0000 0.0913 0.1045  2 Si 1.60-1.61
O: 0.0000 0.2110 0.0000  2 Si 1.59
O: 0.0000 0.2173 0.3440  2 Si 1.61
O: 0.0000 0.5000 0.2497  2 Si 1.61
O: 0.1759 0.0000 0.2026  2 Si 1.61
O: 0.1760 0.2508 0.1143  2 Si 1.60-1.61
O: 0.2499 0.0912 0.3206  2 Si 1.61
O: 0.2500 0.2500 0.2500  2 Si 1.61

=====

(5)
The following is a DFT calculation (r²SCAN) of a relaxed structure of K2Nb3Se6.

raw total energy = -740.83 eV per cell
ΔE_f = -1.191 eV per atom

Cell: 16.5018 10.6858 6.1696 Å, 90.00 90.00 90.00°
With the nearest neighbours (Å) after each atom.
Space group Amm2 (No. 38)
Unique sites:
K: 0.0000 0.1668 0.0000  6 Se 3.23-3.24, 3 K 3.56
K: 0.5000 0.1665 0.3335  6 Se 3.23, 3 K 3.56
Nb: 0.2500 0.1672 0.0003  6 Se 2.63-2.64
Nb: 0.2507 0.0000 0.4987  6 Se 2.62-2.63
Se: 0.1509 0.0000 0.1685  3 Nb 2.62-2.63
=====
Say you want to create a "Log in" button that''ll change color when the user hover over it and will have some animation when the user click on it. Don't just try to make all these styles when you just started building the website. We've all been there, thinking "I'm gonna code it later anyway so I might as well do it right now". but trust me, if you work that way you'll end up spending so many hours on those small effects while your website structs and basic styling is not even finished, which will give you a lot of frustrating time.
• Attached: records of crystals:
____________
# TiNb3O6

A geometry-optimized TiNb3O6 structure (GGA-PBE, the Materials Project).

Lattice parameters (Å, degrees): 8.0132 8.0132 14.5668 90.00 90.00 120.00
Space group R-3 (No. 148, hexagonal axes)
One atom of each set of equivalent atoms:
1 Ti 0.0000 0.0000 0.2262
2 Nb 0.0218 0.2175 0.4222
3 O 0.0278 0.2068 0.6731
4 O 0.0755 0.2364 0.1660

- Formation energy: -2.904 eV per atom

=====

{
  "formula": "Ba3InB3O9",
  "functional": "meta-GGA r2SCAN",
  "state": "relaxed",
  "cell": [[-8.024, -0.403, -0.371], [2.637, -2.385, -7.214], [2.235, -5.759, 5.151]],
  "species": ["B", "B", "O", "O", "O", "O", "In", "O", "B", "Ba", "O", "Ba", "O", "B", "O", "O", "Ba", "O", "O", "B", "In", "O", "O", "O", "O", "Ba", "Ba", "O", "O", "Ba", "O", "B"],
  "frac_coords": [[0.451, 0.135, 0.209], [0.549, 0.865, 0.791], [0.571, 0.068, 0.301], [0.238, 0.502, 0.324], [0.762, 0.498, 0.676], [0.699, 0.429, 0.932], [0.500, 0.500, 0.500], [0.992, 0.930, 0.718], [0.865, 0.791, 0.549], [0.335, 0.237, 0.844], [0.301, 0.571, 0.068], [0.156, 0.665, 0.763], [0.498, 0.676, 0.762], [0.791, 0.549, 0.865], [0.282, 0.008, 0.070], [0.068, 0.301, 0.571], [0.665, 0.763, 0.156], [0.324, 0.238, 0.502], [0.718, 0.992, 0.930], [0.209, 0.451, 0.135], [0.000, 0.000, 0.000], [0.502, 0.324, 0.238], [0.930, 0.718, 0.992], [0.070, 0.282, 0.008], [0.429, 0.932, 0.699], [0.237, 0.844, 0.335], [0.844, 0.335, 0.237], [0.932, 0.699, 0.429], [0.676, 0.762, 0.498], [0.763, 0.156, 0.665], [0.008, 0.070, 0.282], [0.135, 0.209, 0.451]],
  "m_tot_mub_per_cell": 0.00,
____________
• Here the page continues:
PermalinkLearn About Web Design Libraries And Services
You'd surprised by how many libraries and services for web design there is out there, there are libraries like bootstrap which will do most of the website structure for you, and services like webflow.com which makes designing a webpage as easy as designing a poster, it's good to always know about these services cause they'll let you build a quick prototype of what you want your website to look like(whether it was for yourself or to show it someone). But don't rely too much on them cause website built with these libraries / services tends to have the same main problem...they all look very similar.
that covers about what I have to say about web design coding, feel free to give me any feedback you have.